• Material:
~~~
Ni3P4PbO14 | GGA+U | relaxed

The calculation puts the theoretical density at 4.71 Mg/m³. The total magnetization is 6.000 μB per formula unit. The value obtained for the energy of formation is -2.29 eV/atom.

Cell: 7.4857 7.7960 9.5296 Å, 90.00 112.04 90.00°
With the nearest neighbours (Å) after each atom.
Space group P2_1/c (No. 14)
Unique sites:
Ni: 0.0000 0.0000 0.0000 [2 per cell]  6 O 2.08-2.15
Ni: 0.1847 0.1241 0.5260 [4 per cell]  6 O 2.07-2.23
P: 0.1094 0.7023 0.8048 [4 per cell]  4 O 1.52-1.61
P: 0.3962 0.0580 0.2985 [4 per cell]  4 O 1.52-1.61
Pb: 0.5000 0.0000 0.0000 [2 per cell]  8 O 2.61-2.74
O: 0.0043 0.2091 0.8663 [4 per cell]  1 P 1.53
O: 0.0273 0.5746 0.8874 [4 per cell]  1 P 1.53
O: 0.1526 0.6262 0.3872 [4 per cell]  1 P 1.52
O: 0.2672 0.1210 0.1365 [4 per cell]  1 P 1.56
O: 0.3155 0.6293 0.8159 [4 per cell]  2 P 1.61
O: 0.3767 0.1740 0.4202 [4 per cell]  1 P 1.52
O: 0.3994 0.5225 0.1929 [4 per cell]  1 P 1.53

* * * * *

Entry 1:
# Mg2C3ClO15, optimized geometry, DFT PBE
data_Mg2C3ClO15
_chemical_formula_sum 'Mg4 C6 Cl2 O30'
_cell_length_a 14.053
_cell_length_b 14.053
_cell_length_c 14.053
_cell_angle_alpha 29.36
_cell_angle_beta 29.36
_cell_angle_gamma 29.36
_space_group_name_H-M_alt 'P 1'
_space_group_IT_number 1
_space_group_name_Hall 'P 1'
loop_
_atom_site_label
_atom_site_type_symbol
_atom_site_fract_x
_atom_site_fract_y
_atom_site_fract_z
Mg1 Mg 0.195 0.195 0.195
Mg2 Mg 0.305 0.305 0.305
Mg3 Mg 0.695 0.695 0.695
Mg4 Mg 0.805 0.805 0.805
C1 C 0.068 0.750 0.432
C2 C 0.250 0.568 0.932
C3 C 0.432 0.068 0.750
C4 C 0.568 0.932 0.250
C5 C 0.750 0.432 0.068
C6 C 0.932 0.250 0.568
Cl1 Cl 0.000 0.000 0.000
Cl2 Cl 0.500 0.500 0.500
O1 O 0.011 0.182 0.476
O2 O 0.024 0.318 0.489
O3 O 0.106 0.625 0.779
O4 O 0.125 0.606 0.279
O5 O 0.182 0.476 0.011
O6 O 0.221 0.894 0.375
O7 O 0.248 0.750 0.252
O8 O 0.250 0.748 0.752
O9 O 0.252 0.248 0.750
O10 O 0.279 0.125 0.606
O11 O 0.318 0.489 0.024
O12 O 0.375 0.221 0.894
O13 O 0.394 0.721 0.875
O14 O 0.476 0.011 0.182
O15 O 0.489 0.024 0.318
O16 O 0.511 0.976 0.682
O17 O 0.524 0.989 0.818
O18 O 0.606 0.279 0.125
O19 O 0.625 0.779 0.106
O20 O 0.682 0.511 0.976
O21 O 0.721 0.875 0.394
O22 O 0.748 0.752 0.250
O23 O 0.750 0.252 0.248
O24 O 0.752 0.250 0.748
O25 O 0.779 0.106 0.625
O26 O 0.818 0.524 0.989
O27 O 0.875 0.394 0.721
O28 O 0.894 0.375 0.221
O29 O 0.976 0.682 0.511
O30 O 0.989 0.818 0.524
# space group: No. 167



Entry 2:
# Nd2ZnIr, optimized geometry, DFT PBE
data_Nd2ZnIr
_chemical_formula_sum 'Nd8 Zn4 Ir4'
_cell_length_a 7.213
_cell_length_b 7.213
_cell_length_c 7.213
_cell_angle_alpha 90.00
_cell_angle_beta 90.00
_cell_angle_gamma 90.00
_space_group_name_H-M_alt 'P 1'
_space_group_IT_number 1
_space_group_name_Hall 'P 1'
loop_
_atom_site_label
_atom_site_type_symbol
_atom_site_fract_x
_atom_site_fract_y
_atom_site_fract_z
Nd1 Nd 0.250 0.250 0.250
Nd2 Nd 0.250 0.250 0.750
Nd3 Nd 0.250 0.750 0.250
Nd4 Nd 0.250 0.750 0.750
Nd5 Nd 0.750 0.250 0.250
Nd6 Nd 0.750 0.250 0.750
Nd7 Nd 0.750 0.750 0.250
Nd8 Nd 0.750 0.750 0.750
Zn1 Zn 0.000 0.000 0.000
Zn2 Zn 0.000 0.500 0.500
Zn3 Zn 0.500 0.000 0.500
Zn4 Zn 0.500 0.500 0.000
Ir1 Ir 0.000 0.000 0.500
Ir2 Ir 0.000 0.500 0.000
Ir3 Ir 0.500 0.000 0.000
Ir4 Ir 0.500 0.500 0.500
# space group: No. 225



Entry 3:
# TcN2F6, optimized geometry, DFT PBE
data_TcN2F6
_chemical_formula_sum 'Tc1 N2 F6'
_cell_length_a 5.967
_cell_length_b 5.967
_cell_length_c 4.921
_cell_angle_alpha 90.00
_cell_angle_beta 90.00
_cell_angle_gamma 120.00
_space_group_name_H-M_alt 'P 1'
_space_group_IT_number 1
~~~
• Job:
It remains to type out every line earlier on that contains the word "Space".
• Outcome:
Space group P2_1/c (No. 14)